- - -
69
Properties=species:S:1:pos:R:3:lowdin_charge:R:1 method="wB97M-V/def2-TZVPD" lumo_energy_ev=-3.34 homo_lumo_gap_ha=0.27670 molar_mass_da=816.05 charge=+1 e_tot_ha=-4003.5987 relative_energy_kj_mol=23.78 fmax_ev_per_a=0.7
Ca -0.49889 0.02318 0.18679 1.1030
S -1.97659 -6.27512 4.79092 1.0611
N -2.86530 -4.96126 4.51174 -0.2042
C -2.19107 -4.22444 3.64382 -0.3027
C -2.61214 -2.94430 3.11048 -0.0725
C -3.83286 -2.35921 3.45210 0.0328
C -4.16756 -1.14103 2.91150 -0.0113
C -3.25785 -0.52511 2.05745 -0.0998
N -2.09082 -1.06510 1.73237 0.0184
C -1.76151 -2.27477 2.22524 -0.1320
C -0.49439 -2.89673 1.78594 -0.1385
N 0.25688 -2.25483 0.86926 -0.0178
C 1.37498 -2.82415 0.43721 -0.1367
C 1.83524 -4.05332 0.89685 -0.0138
C 1.08872 -4.71415 1.84269 0.0338
C -0.09924 -4.13800 2.29605 -0.0713
C -0.95942 -4.80050 3.25611 -0.3034
N -0.71601 -5.96334 3.83840 -0.2045
H -4.49376 -2.88133 4.13150 0.1291
H -5.10888 -0.66069 3.13572 0.1191
H -3.48126 0.43998 1.61598 0.1095
H 1.93332 -2.27955 -0.31690 0.1210
H 2.75374 -4.46677 0.50655 0.1202
H 1.39109 -5.67512 2.23768 0.1293
O -2.25755 0.03633 -3.47660 -0.2274
Cl -1.70801 -0.10418 -2.19258 0.6403
O -1.92541 -1.39630 -1.58579 -0.3478
O -0.25291 0.11124 -2.17267 -0.4396
O -2.23759 0.88587 -1.24081 -0.4454
I 2.04387 0.43121 2.11132 1.0288
C 2.16909 2.15671 3.32852 -0.5770
C 2.79143 1.84421 4.50634 -0.1857
C 3.13158 2.83646 5.44120 -0.0602
C 2.87475 4.13440 5.13577 -0.0200
C 2.22896 4.48644 3.92540 -0.1505
C 2.02381 5.86210 3.66917 -0.0138
C 1.40545 6.28092 2.53318 -0.0396
C 0.91547 5.31479 1.64386 -0.0838
C 1.07172 3.96196 1.84021 -0.3010
P 0.08637 2.96495 0.64683 0.9840
C -1.57910 3.67588 0.86901 -0.3774
C -2.12907 4.69480 0.09777 -0.0831
C -3.41016 5.15717 0.36378 -0.0579
C -4.14772 4.61746 1.40799 -0.0677
C -3.60250 3.60873 2.19022 -0.0793
C -2.32847 3.13608 1.91448 -0.1249
C 0.69936 3.51500 -0.97450 -0.3788
C 2.02552 3.92161 -1.12432 -0.0883
C 2.53606 4.19380 -2.38501 -0.0690
C 1.73135 4.06050 -3.50700 -0.0676
C 0.41525 3.64463 -3.36649 -0.0598
C -0.09785 3.36335 -2.11001 -0.1144
C 1.79910 3.49471 2.98547 -0.1792
H 3.05322 0.81752 4.72150 0.0761
H 3.61754 2.55712 6.36537 0.1152
H 3.15957 4.93080 5.81122 0.1215
H 2.37860 6.57362 4.40419 0.1218
H 1.25858 7.33208 2.32746 0.1164
H 0.36735 5.65526 0.77386 0.1075
H -1.56338 5.12844 -0.71706 0.1054
H -3.83193 5.94475 -0.24651 0.1120
H -5.14433 4.98461 1.61335 0.1097
H -4.16734 3.19326 3.01517 0.1069
H -1.90178 2.35232 2.53578 0.0956
H 2.66274 4.03710 -0.25656 0.1040
H 3.56494 4.51259 -2.48786 0.1089
H 2.13043 4.27478 -4.48940 0.1094
H -0.21549 3.52770 -4.23779 0.1144
H -1.11883 3.01463 -2.01863 0.0924

=====

70
Properties=species:S:1:pos:R:3:lowdin_charge:R:1 method="wB97M-V/def2-TZVPD" lumo_energy_ev="4.12 / 4.12" homo_lumo_gap_ha="0.20823 / 0.20802" molar_mass_da=767.04 charge=-2 e_tot_ha=-3246.8981 relative_energy_kj_mol=86.45 fmax_ev_per_a=1.2 multiplicity=2 s2=0.758
Ru -1.12932 0.88920 1.40658 0.8526
S -1.52493 -1.38909 1.86393 0.6956
C -2.96855 -1.26857 2.83725 -0.7291
C -3.72241 -2.48016 2.98331 -0.3102
N -4.32528 -3.45562 3.10415 0.1183
C -3.35263 -0.13160 3.48233 -0.7511
S -2.41645 1.33666 3.41164 0.6339
C -4.50815 -0.14122 4.33082 -0.3090
N -5.42821 -0.12155 5.02618 0.1139
O -0.19543 0.90043 -1.12689 -0.0156
C -0.05747 0.20331 -0.12695 -0.4528
C 3.39898 -5.42453 1.00386 -0.1215
C 3.80184 -4.30392 1.71562 -0.1049
C 3.11865 -3.10619 1.56709 -0.0365
C 2.03658 -2.99429 0.68970 -0.1853
C 1.62138 -4.13992 0.00406 -0.0261
C 2.29910 -5.33880 0.15905 -0.0951
C 1.35803 -1.68470 0.60577 -0.0415
C 0.61510 -1.15106 -0.37605 -0.1880
C 0.35273 -1.71524 -1.71775 -0.1935
C -0.96622 -1.80396 -2.16427 -0.0131
C -1.24819 -2.34203 -3.41078 -0.0919
C -0.22023 -2.77006 -4.24068 -0.1162
C 1.09690 -2.65278 -3.81685 -0.1001
C 1.37876 -2.12701 -2.56454 -0.0379
H 3.92593 -6.36457 1.11841 0.0865
H 4.64120 -4.36281 2.39856 0.0912
H 3.41436 -2.23325 2.13709 0.1087
H 0.74872 -4.09648 -0.63042 0.1142
H 1.95565 -6.21579 -0.37684 0.0943
H 1.46809 -1.08004 1.49558 0.0822
- - -
Next, duplicate the part of the entries further above that starts with the line with "5.81122 0.1215" and stops after the one with "3.41436 -2.23325".
H 3.15957 4.93080 5.81122 0.1215
H 2.37860 6.57362 4.40419 0.1218
H 1.25858 7.33208 2.32746 0.1164
H 0.36735 5.65526 0.77386 0.1075
H -1.56338 5.12844 -0.71706 0.1054
H -3.83193 5.94475 -0.24651 0.1120
H -5.14433 4.98461 1.61335 0.1097
H -4.16734 3.19326 3.01517 0.1069
H -1.90178 2.35232 2.53578 0.0956
H 2.66274 4.03710 -0.25656 0.1040
H 3.56494 4.51259 -2.48786 0.1089
H 2.13043 4.27478 -4.48940 0.1094
H -0.21549 3.52770 -4.23779 0.1144
H -1.11883 3.01463 -2.01863 0.0924

=====

70
Properties=species:S:1:pos:R:3:lowdin_charge:R:1 method="wB97M-V/def2-TZVPD" lumo_energy_ev="4.12 / 4.12" homo_lumo_gap_ha="0.20823 / 0.20802" molar_mass_da=767.04 charge=-2 e_tot_ha=-3246.8981 relative_energy_kj_mol=86.45 fmax_ev_per_a=1.2 multiplicity=2 s2=0.758
Ru -1.12932 0.88920 1.40658 0.8526
S -1.52493 -1.38909 1.86393 0.6956
C -2.96855 -1.26857 2.83725 -0.7291
C -3.72241 -2.48016 2.98331 -0.3102
N -4.32528 -3.45562 3.10415 0.1183
C -3.35263 -0.13160 3.48233 -0.7511
S -2.41645 1.33666 3.41164 0.6339
C -4.50815 -0.14122 4.33082 -0.3090
N -5.42821 -0.12155 5.02618 0.1139
O -0.19543 0.90043 -1.12689 -0.0156
C -0.05747 0.20331 -0.12695 -0.4528
C 3.39898 -5.42453 1.00386 -0.1215
C 3.80184 -4.30392 1.71562 -0.1049
C 3.11865 -3.10619 1.56709 -0.0365
C 2.03658 -2.99429 0.68970 -0.1853
C 1.62138 -4.13992 0.00406 -0.0261
C 2.29910 -5.33880 0.15905 -0.0951
C 1.35803 -1.68470 0.60577 -0.0415
C 0.61510 -1.15106 -0.37605 -0.1880
C 0.35273 -1.71524 -1.71775 -0.1935
C -0.96622 -1.80396 -2.16427 -0.0131
C -1.24819 -2.34203 -3.41078 -0.0919
C -0.22023 -2.77006 -4.24068 -0.1162
C 1.09690 -2.65278 -3.81685 -0.1001
C 1.37876 -2.12701 -2.56454 -0.0379
H 3.92593 -6.36457 1.11841 0.0865
H 4.64120 -4.36281 2.39856 0.0912
H 3.41436 -2.23325 2.13709 0.1087